Lyric discussion by johnwilldo22 

OKAY, THIS MAY BE A LONG SHOT... but here's an alternative interpretation.. And I think it fits in pretty well.. Btw, this came to me when I was staring up at a tall roof one day while listening to the song and those two things suddenly made me think about suicide.. So then I thought what if this song was about suicide? But what reason would the singer have to want to take their lives... Then I thought:

What if this song was about ABORTION?

In my opinion, the male partner is singing to his wife/girlfriend after they just decided to get an abortion. Now the girl is depressed because she feels horrible about her decision and the guy is trying to remind her it was THEIR decision and it's time to move on now..

_Crystal structures from another source follow_
........
Structure and simulated X-ray powder pattern of AcTbY2S6 (DFT lattice parameters and positions (PBE); Cu Ka).

Principal peaks in the range 10° ≤ 2θ ≤ 90°, most intense first:
2θ (°)  I/Imax
24.0  100
25.1  90
38.5  65
17.3  58
35.0  51
43.5  50
44.2  46
29.0  18
51.2  17
57.6  17

Crystal structure
a b c (Å): 7.444 7.444 7.444
angles (deg): 56.93 56.93 56.93
Fractional positions:
Ac 0.000 0.000 0.000
Tb 0.487 0.487 0.487
Y 0.283 0.283 0.283
Y 0.789 0.789 0.789
S 0.077 0.647 0.428
S 0.185 0.574 0.891
S 0.428 0.077 0.647
S 0.574 0.891 0.185
S 0.647 0.428 0.077
S 0.891 0.185 0.574

***

Structure and simulated X-ray powder pattern of AlNi4Pt (DFT lattice parameters and positions (PBE); Cu Ka).

Principal peaks in the range 10° ≤ 2θ ≤ 90°, most intense first:
2θ (°)  I/Imax
45.0  100
43.1  84
47.3  82
25.9  77
44.5  58
35.4  53
20.1  50
47.1  47
32.9  43
73.1  36

Crystal structure
a b c (Å): 5.181 5.181 6.478
angles (deg): 101.81 101.81 59.41
Fractional positions:
Al 0.136 0.136 0.330
Al 0.864 0.864 0.670
Ni 0.140 0.642 0.322
Ni 0.247 0.247 0.002
Ni 0.247 0.753 0.000
Ni 0.358 0.860 0.678
Ni 0.642 0.140 0.322
Ni 0.753 0.247 0.000
Ni 0.753 0.753 0.998
Ni 0.860 0.358 0.678
Pt 0.357 0.357 0.663
Pt 0.643 0.643 0.337

***

Structure and simulated X-ray powder pattern of BaTm3Ga4O12 (DFT lattice parameters and positions (PBE); Cu Ka).

Principal peaks in the range 10° ≤ 2θ ≤ 90°, most intense first:
2θ (°)  I/Imax
28.2  100
31.1  36
26.0  32
34.2  30
20.9  24
48.1  22
52.3  17
53.9  16
57.7  15
82.6  15

Crystal structure
a b c (Å): 7.188 7.188 7.188
angles (deg): 106.51 106.51 106.51
Fractional positions:
Ba 0.000 0.000 0.000
Tm 0.000 0.554 0.446
Tm 0.446 0.000 0.554
Tm 0.554 0.446 0.000
Ga 0.056 0.500 0.944
Ga 0.500 0.500 0.500
Ga 0.500 0.944 0.056
Ga 0.944 0.056 0.500
O 0.039 0.644 0.777
O 0.101 0.899 0.500
O 0.223 0.356 0.961
O 0.344 0.656 0.500
O 0.356 0.961 0.223
O 0.500 0.101 0.899
O 0.500 0.344 0.656
O 0.644 0.777 0.039
O 0.656 0.500 0.344
O 0.777 0.039 0.644
O 0.899 0.500 0.101
O 0.960 0.223 0.356

***

Structure and simulated X-ray powder pattern of RbMgNpS4 (DFT lattice parameters and positions (PBE); Cu Ka).

Principal peaks in the range 10° ≤ 2θ ≤ 90°, most intense first:
2θ (°)  I/Imax
10.5  100
20.1  68
22.4  45
33.1  42
26.0  38
13.2  35
26.3  30
34.9  29
29.8  26
33.7  26

Crystal structure
a b c (Å): 6.828 6.865 8.567
angles (deg): 90.00 100.11 90.00
Fractional positions:
Rb 0.168 0.250 0.071
Rb 0.832 0.750 0.929
Mg 0.377 0.250 0.660
Mg 0.623 0.750 0.340
Np 0.163 0.750 0.457
Np 0.837 0.250 0.543
S 0.119 0.002 0.689
S 0.119 0.498 0.689
S 0.290 0.750 0.188
S 0.478 0.250 0.404
S 0.522 0.750 0.596
S 0.710 0.250 0.812
S 0.881 0.502 0.311
S 0.881 0.998 0.311

***

Structure and simulated X-ray powder pattern of UBMo (DFT lattice parameters and positions (PBE); Cu Ka).

Principal peaks in the range 10° ≤ 2θ ≤ 90°, most intense first:
2θ (°)  I/Imax
35.4  100
38.6  69
32.5  52
56.8  36
44.7  28
69.6  28
36.8  26
47.0  17
68.7  15
18.2  14
........

The first two stanzas open the scene where the guy is trying to tell the girl to get over it so he's going to "sing it one last time for [her]". He loves her and he wants their decision to abort their baby to not affect their relationship so he tries to console her by telling her he still loves her no matter what: "You've been the only thing that's right in all I've done.." This line can also be taken to mean that all she's ever been for him is "right" so their decision to abort the baby was right (in their case.. maybe they're young lovers).

By this interpretation, the chorus is simplified a bit: "Light up, light up" = cheer up (or crudely, get over it... I'll explain this at the end of the paragraph); "Even if you cannot hear my voice I'll be right beside you dear" = even if she is too numb at the moment to hear what he has to say or even if she doesn't want to believe anymore that their decision was the right thing to do (hence she CANNOT hear his voice), he will still be there at the end after she collects herself. The line "AS IF you have a choice" is the reminder that in the cruelest sense, they never really had a choice probably because their parents were a factor into the decision or simply because they couldn't raise a baby in their current state. Thus, "light up" = get over it.. It's not as if you had a choice anyway..

"We'll run for our lives" - forget about this problem.. let's run from it. "Why you can't raise your voice to say" - this might solidify the fact that she really didn't have a choice to keep the baby. So extreme, I know, but those are the lows that come with abortion.

The second refrain is what really did it for me: "to think I may not see [our baby's] eyes makes me really want to cry"..

And so I guess that's it.. The ONLY thing that weakens my case a bit comes at the end of the song when the guy says "we're bound to be afraid even if its just for a few days" ... REALLY? You just had an abortion but you're going to get over it in a few days? Some people never get over it... SOOO this does weaken my case a bit but only to the extent that it can be interpreted to mean that the guy is REALLLLY trying to console the girl, to the point where he's begging her to get over the whole thing as soon as possible. "a few days" could just refer to his optimism that the girl won't be so depressed anymore because it kills him to see like that... (AGAIN, this is an interpretation. I'm not claiming that Snow Patrol has had experience in abortion!)

Okay that's all.

Also, I've been thinking about making a music video to this song but I really need to find two good actors to portray the part! Please don't steal my idea! HAHA :)

// EDIT //

For anyone who cares, I forgot to include my analysis of this stanza:

"And I can barely look at you But every single time I do I know we'll make it anywhere Away from here"

The guy can't bare to look at the girl because she's drowning in her sorrows and is extremely depressed over their abortion*.. However, when he does look at the girl he's reminded of how much he loves her and how strong their relationship is (or was) outside the context of the abortion they just went through...

  • See my earlier post for the elaboration of this presumption..
  • An error occured.